[Entries]
........
This record from the Materials Project describes Ba7Na3Ti7Nb3O30 after structural relaxation. The functional is GGA-PBE.

Properties
- Raw total energy: -394.40 eV/cell
- Calculated formation energy: -3272 meV per atom

Lattice parameters (Å, degrees): 8.057 4.029 20.173 90.00 90.03 90.00
Space group Pm (No. 6)
Symmetry-distinct sites (fractional):
Ba 0.000 0.000 0.000
Ba 0.000 0.000 0.201
Ba 0.001 0.000 0.395
Ba 0.004 0.000 0.800
Ba 0.493 0.000 0.800
Ba 0.497 0.000 0.000
Ba 0.497 0.000 0.201
Na 0.004 0.000 0.601
Na 0.493 0.000 0.601
Na 0.497 0.000 0.396
Ti 0.249 0.500 0.101
Ti 0.249 0.500 0.696
Ti 0.249 0.500 0.899
Ti 0.256 0.500 0.302
Ti 0.742 0.500 0.299
Ti 0.748 0.500 0.101
Ti 0.749 0.500 0.902
Nb 0.251 0.500 0.503
Nb 0.744 0.500 0.498
Nb 0.749 0.500 0.696
O 0.249 0.000 0.099
O 0.249 0.000 0.500
O 0.249 0.000 0.698
O 0.249 0.000 0.900
O 0.249 0.500 0.400
O 0.249 0.500 0.800
O 0.249 0.500 0.999
O 0.250 0.000 0.300
O 0.250 0.500 0.199
O 0.250 0.500 0.599
O 0.498 0.500 0.501
O 0.498 0.500 0.698
O 0.499 0.500 0.300
O 0.499 0.500 0.899
O 0.500 0.500 0.099
O 0.747 0.000 0.300
O 0.747 0.500 0.200
O 0.748 0.000 0.099
O 0.748 0.000 0.501
O 0.748 0.500 0.400
O 0.748 0.500 0.599
O 0.749 0.000 0.698
O 0.749 0.000 0.899
O 0.749 0.500 0.798
O 0.749 0.500 0.999
O 0.997 0.500 0.099
O 0.998 0.500 0.301
O 0.998 0.500 0.899
O 0.999 0.500 0.500
O 0.999 0.500 0.698


This record from the Materials Project describes Ba3Na2Ti3Nb2O15 after structural relaxation. The functional is GGA-PBE.

Properties
- Raw total energy: -392.37 eV/cell
- Calculated formation energy: -3199 meV per atom

Lattice parameters (Å, degrees): 5.686 28.474 4.028 90.00 90.00 90.00
Space group Cmmm (No. 65)
Symmetry-distinct sites (fractional):
Ba 0.000 0.000 0.000
Ba 0.000 0.401 0.000
Na 0.000 0.199 0.000
Ti 0.000 0.101 0.500
Ti 0.000 0.500 0.500
Nb 0.000 0.299 0.500
O 0.000 0.101 0.000
O 0.000 0.299 0.000
O 0.000 0.500 0.000
O 0.249 0.450 0.500
O 0.250 0.150 0.500
O 0.250 0.250 0.500


Copy entry 2 word for word.
This record from the Materials Project describes Ba3Na2Ti3Nb2O15 after structural relaxation. The functional is GGA-PBE.

Properties
- Raw total energy: -392.37 eV/cell
- Calculated formation energy: -3199 meV per atom

Lattice parameters (Å, degrees): 5.686 28.474 4.028 90.00 90.00 90.00
Space group Cmmm (No. 65)
Symmetry-distinct sites (fractional):
Ba 0.000 0.000 0.000
Ba 0.000 0.401 0.000
Na 0.000 0.199 0.000
Ti 0.000 0.101 0.500
Ti 0.000 0.500 0.500
Nb 0.000 0.299 0.500
O 0.000 0.101 0.000
O 0.000 0.299 0.000
O 0.000 0.500 0.000
O 0.249 0.450 0.500
O 0.250 0.150 0.500
O 0.250 0.250 0.500


Q: Look up the calculated formation energy of the first one.
A: -3272 meV per atom


Q: What is the calculated formation energy in the second record?
A: -3199 meV per atom


Entry from the Materials Project database: crystalline V2C at its relaxed geometry (PBE).

* energy: -115.24 eV for the cell shown
* formation energy: -10.9 kcal/mol of atoms
* symmetry: Pbcn

Lattice parameters (Å, degrees): 4.5569 5.0431 5.7338 90.00 90.00 90.00
With the nearest neighbours (Å) after each atom.
Fractional coordinates of all 12 atoms:
V  0.2540  0.5764  0.6181  3 C 2.01-2.04
V  0.7460  0.9236  0.6181  3 C 2.01-2.04
V  0.7460  0.4236  0.3819  3 C 2.01-2.04
C  0.5000  0.7500  0.8728  6 V 2.01-2.04
V  0.2540  0.0764  0.3819  3 C 2.01-2.04
V  0.2460  0.0764  0.8819  3 C 2.01-2.04
V  0.7540  0.9236  0.1181  3 C 2.01-2.04
V  0.2460  0.5764  0.1181  3 C 2.01-2.04
C  0.5000  0.2500  0.1272  6 V 2.01-2.04
V  0.7540  0.4236  0.8819  3 C 2.01-2.04
C  0.0000  0.7500  0.3728  6 V 2.01-2.04
C  0.0000  0.2500  0.6272  6 V 2.01-2.04


Here is crystalline InCuPO5 at its relaxed geometry from the Materials Project database. Energies are from PBE.

Calculated values
Calculated formation energy ... -2.061 eV per atom
Space-group type ... Pnma (62)

a b c (Å): 6.715 7.380 7.931
angles (deg): 90.00 90.00 90.00
Sites, in units of the cell vectors:
........

[Assignment]
Print the whole of the listing further above verbatim.

[Done]
This record from the Materials Project describes Ba7Na3Ti7Nb3O30 after structural relaxation. The functional is GGA-PBE.

Properties
- Raw total energy: -394.40 eV/cell
- Calculated formation energy: -3272 meV per atom

Lattice parameters (Å, degrees): 8.057 4.029 20.173 90.00 90.03 90.00
Space group Pm (No. 6)
Symmetry-distinct sites (fractional):
Ba 0.000 0.000 0.000
Ba 0.000 0.000 0.201
Ba 0.001 0.000 0.395
Ba 0.004 0.000 0.800
Ba 0.493 0.000 0.800
Ba 0.497 0.000 0.000
Ba 0.497 0.000 0.201
Na 0.004 0.000 0.601
Na 0.493 0.000 0.601
Na 0.497 0.000 0.396
Ti 0.249 0.500 0.101
Ti 0.249 0.500 0.696
Ti 0.249 0.500 0.899
Ti 0.256 0.500 0.302
Ti 0.742 0.500 0.299
Ti 0.748 0.500 0.101
Ti 0.749 0.500 0.902
Nb 0.251 0.500 0.503
Nb 0.744 0.500 0.498
Nb 0.749 0.500 0.696
O 0.249 0.000 0.099
O 0.249 0.000 0.500
O 0.249 0.000 0.698
O 0.249 0.000 0.900
O 0.249 0.500 0.400
O 0.249 0.500 0.800
O 0.249 0.500 0.999
O 0.250 0.000 0.300
O 0.250 0.500 0.199
O 0.250 0.500 0.599
O 0.498 0.500 0.501
O 0.498 0.500 0.698
O 0.499 0.500 0.300
O 0.499 0.500 0.899
O 0.500 0.500 0.099
O 0.747 0.000 0.300
O 0.747 0.500 0.200
O 0.748 0.000 0.099
O 0.748 0.000 0.501
O 0.748 0.500 0.400
O 0.748 0.500 0.599
O 0.749 0.000 0.698
O 0.749 0.000 0.899
O 0.749 0.500 0.798
O 0.749 0.500 0.999
O 0.997 0.500 0.099
O 0.998 0.500 0.301
O 0.998 0.500 0.899
O 0.999 0.500 0.500
O 0.999 0.500 0.698


This record from the Materials Project describes Ba3Na2Ti3Nb2O15 after structural relaxation. The functional is GGA-PBE.

Properties
- Raw total energy: -392.37 eV/cell
- Calculated formation energy: -3199 meV per atom

Lattice parameters (Å, degrees): 5.686 28.474 4.028 90.00 90.00 90.00
Space group Cmmm (No. 65)
Symmetry-distinct sites (fractional):
Ba 0.000 0.000 0.000
Ba 0.000 0.401 0.000
Na 0.000 0.199 0.000
Ti 0.000 0.101 0.500
Ti 0.000 0.500 0.500
Nb 0.000 0.299 0.500
O 0.000 0.101 0.000
O 0.000 0.299 0.000
O 0.000 0.500 0.000
O 0.249 0.450 0.500
O 0.250 0.150 0.500
O 0.250 0.250 0.500


Copy entry 2 word for word.
This record from the Materials Project describes Ba3Na2Ti3Nb2O15 after structural relaxation. The functional is GGA-PBE.

Properties
- Raw total energy: -392.37 eV/cell
- Calculated formation energy: -3199 meV per atom

Lattice parameters (Å, degrees): 5.686 28.474 4.028 90.00 90.00 90.00
Space group Cmmm (No. 65)
Symmetry-distinct sites (fractional):
Ba 0.000 0.000 0.000
Ba 0.000 0.401 0.000
Na 0.000 0.199 0.000
Ti 0.000 0.101 0.500
Ti 0.000 0.500 0.500
Nb 0.000 0.299 0.500
O 0.000 0.101 0.000
O 0.000 0.299 0.000
O 0.000 0.500 0.000
O 0.249 0.450 0.500
O 0.250 0.150 0.500
O 0.250 0.250 0.500


Q: Look up the calculated formation energy of the first one.
A: -3272 meV per atom


Q: What is the calculated formation energy in the second record?
A: -3199 meV per atom


Entry from the Materials Project database: crystalline V2C at its relaxed geometry (PBE).

* energy: -115.24 eV for the cell shown
* formation energy: -10.9 kcal/mol of atoms
* symmetry: Pbcn

Lattice parameters (Å, degrees): 4.5569 5.0431 5.7338 90.00 90.00 90.00
With the nearest neighbours (Å) after each atom.
Fractional coordinates of all 12 atoms:
V  0.2540  0.5764  0.6181  3 C 2.01-2.04
V  0.7460  0.9236  0.6181  3 C 2.01-2.04
V  0.7460  0.4236  0.3819  3 C 2.01-2.04
C  0.5000  0.7500  0.8728  6 V 2.01-2.04
V  0.2540  0.0764  0.3819  3 C 2.01-2.04
V  0.2460  0.0764  0.8819  3 C 2.01-2.04
V  0.7540  0.9236  0.1181  3 C 2.01-2.04
V  0.2460  0.5764  0.1181  3 C 2.01-2.04
C  0.5000  0.2500  0.1272  6 V 2.01-2.04
V  0.7540  0.4236  0.8819  3 C 2.01-2.04
C  0.0000  0.7500  0.3728  6 V 2.01-2.04
C  0.0000  0.2500  0.6272  6 V 2.01-2.04


Here is crystalline InCuPO5 at its relaxed geometry from the Materials Project database. Energies are from PBE.

Calculated values
Calculated formation energy ... -2.061 eV per atom
Space-group type ... Pnma (62)

a b c (Å): 6.715 7.380 7.931
angles (deg): 90.00 90.00 90.00
Sites, in units of the cell vectors: